Sentrum Elections

Day 1,242, 02:42 Published in Norway Norway by Yan Hoek

Due to the new media [sarcasm]improvements[/sarcasm] I expect this to be totally ignored but anyway....

I am running for PP of Sentrum this month, unopposed as it turns out. Just another nail in the coffin of Norwegian democracy (not me of course, the lack of choice!). Even the PTOers have moved on now! We've got a very small active population and a political scene that could be described as flat-lining. And this is even before the summer which has traditionally seen Norway fall completely asleep. Why we need 7 parties is beyond me as there are hardly any disagreements between the 30 or so truly active citizens.

But anyway, enough of the mild self-deprecation, what am I going to do with the party?

Shuffle along as usual I guess. And its almost not worth making any policies because a) the economy is so immensely screwed there is nothing any government can do about it b) Admin will change the entire game from one week to the next so planning for the future is next to impossible.

But despite that I'll plough on anyway:

## Crystal structures, kept here for reference
- - -
# Ca3FeN3, relaxed, DFT meta-GGA r2SCAN
# * space group: P6_3/m (176)
# * V: 111 Å³/f.u.
# * raw total energy: -9.92 eV/atom
# * DFT formation energy: -930 meV per atom
data_Ca3FeN3
_cell_length_a 7.1810
_cell_length_b 7.1810
_cell_length_c 4.9774
_cell_angle_alpha 90.00
_cell_angle_beta 90.00
_cell_angle_gamma 120.00
_symmetry_space_group_name_H-M 'P 1'
_symmetry_Int_Tables_number 1
_symmetry_space_group_name_Hall 'P 1'
loop_
_atom_site_label
_atom_site_type_symbol
_atom_site_fract_x
_atom_site_fract_y
_atom_site_fract_z
_atom_site_occupancy
Ca1 Ca 0.2775 0.9159 0.7500 1
Ca2 Ca 0.6384 0.7225 0.7500 1
Ca3 Ca 0.0841 0.3616 0.7500 1
Ca4 Ca 0.7225 0.0842 0.2500 1
Ca5 Ca 0.3617 0.2775 0.2500 1
Ca6 Ca 0.9158 0.6383 0.2500 1
Fe1 Fe 0.3333 0.6667 0.2500 1
Fe2 Fe 0.6667 0.3333 0.7500 1
N1 N 0.3015 0.8968 0.2500 1
N2 N 0.5953 0.6985 0.2500 1
N3 N 0.1032 0.4047 0.2500 1
N4 N 0.6985 0.1033 0.7500 1
N5 N 0.4048 0.3015 0.7500 1
N6 N 0.8967 0.5952 0.7500 1

~~~~~

No. 1
Na7ZrZn3P5SO24 PBE relaxed; total magnetic moment = 0.000 μB/f.u.; energy = -6.319 eV/atom
1.0
9.052 0.000 0.000
4.521 7.865 0.000
0.264 0.049 22.181
Na Zr Zn P S O
21 3 9 15 3 72
Cartesian
0.000 0.000 0.000 Na
10.426 2.190 11.253 Na
1.647 2.442 3.831 Na
4.647 7.446 15.126 Na
5.647 5.368 3.891 Na
4.081 2.383 15.046 Na
4.542 2.769 7.636 Na
7.401 7.791 1.945 Na
7.644 7.731 13.092 Na
6.168 5.142 11.140 Na
8.516 5.135 0.002 Na
7.325 2.606 20.347 Na
7.318 2.393 9.363 Na
10.213 7.356 3.838 Na
9.221 5.357 15.108 Na
10.781 7.773 18.611 Na
9.013 4.776 7.677 Na
10.346 2.616 18.567 Na
13.144 7.611 7.591 Na
12.077 5.066 16.766 Na
11.952 5.054 5.701 Na
7.280 2.410 1.646 Zr
7.456 2.344 12.697 Zr
12.148 5.063 20.110 Zr
7.311 7.595 5.329 Zn
7.590 7.734 20.810 Zn
7.554 7.736 16.728 Zn
7.460 7.595 9.901 Zn
7.314 2.527 5.940 Zn
7.533 2.421 17.282 Zn
11.891 5.096 13.345 Zn
11.862 5.007 2.360 Zn
12.021 5.105 9.338 Zn
4.861 7.709 18.689 P
5.480 5.080 0.330 P
4.240 2.705 11.294 P
6.033 5.326 7.612 P
4.376 2.147 18.629 P
4.613 2.416 4.049 P
8.857 5.337 18.712 P
8.727 4.774 3.978 P
6.144 0.064 15.113 P
9.268 5.077 11.295 P
10.465 7.356 0.282 P
8.693 0.104 4.010 P
10.198 2.464 15.033 P
10.529 2.672 0.284 P
13.349 7.372 11.285 P
1.528 2.147 7.621 S
6.149 4.768 15.008 S
10.071 7.677 7.578 S
2.129 3.527 7.635 O
1.974 3.313 1.578 O
4.012 6.543 12.544 O
1.876 1.376 8.843 O
5.722 7.832 19.953 O
5.648 7.549 17.376 O
1.188 0.032 3.961 O
2.054 1.489 6.392 O
1.970 1.156 14.973 O
1.991 1.239 0.149 O
5.826 7.595 11.237 O
4.475 5.183 7.675 O
3.685 3.547 18.817 O
3.735 3.673 3.911 O
3.680 3.381 12.559 O
4.662 4.932 14.970 O
4.689 5.204 1.635 O
4.782 4.978 21.297 O
4.048 3.554 10.017 O
3.714 1.638 17.325 O
6.293 6.161 6.331 O
3.599 1.312 11.193 O
6.390 6.312 0.202 O
3.774 1.119 4.014 O
6.642 6.001 8.863 O
6.814 6.103 15.023 O
4.103 1.242 19.820 O
5.429 2.596 5.340 O
6.475 3.930 16.161 O
6.627 4.099 13.726 O
5.808 2.603 11.412 O
6.393 3.809 0.305 O
5.626 2.281 2.851 O
5.895 2.330 18.541 O
6.696 3.902 7.577 O
8.029 6.155 3.949 O
- - -
## The text goes on

1) Absolute allegiance to EDEN. Let's be frank, the loss of Sweden to the other side is worrying. But they've destroyed alliances before so its understandable, expected even. But we're not like that. We are loyal to are brothers in arms just as they were loyal to us in our dark days. So that's why Sentrum supports Norway in EDEN. That's what we're about to do what we are about to do in Finland.

2) Taxes. Taxes used to be only really of interest to company owners, but now everyone owns a company. Everyone makes their own stuff. That means lower tax incomes for the country. If we are serious about staying alive as an independent country then we need a good stream of income. I haven't quite figured out what to do, but all I know is that stuff needs doing. And plus its the only thing we can really mess around with without the nod from our allies.

3) Get more people in politics. There are supposedly 378 people in Norway. 93 of whom belong to a party. Getting even a fraction of the other 285 into politics could revolutionise the scene for the better.

4) Be around a bit more. I got annoyed with Admin and the economy a while back, so I had a little break, a little holiday (Cuba is very nice by the way) but now I'm back in the groove, still annoyed with Admin and the economy, but more relaxed. So I'll be on the forums, on IRC, ready to help or whatever. Weekends? Maybe not so much, but otherwise I'll be there and be active.

Oh unless anyone has any objections I will rename the party Teknokratene. Yeah, that's right. Didn't expect that one coming huh? I used to think trying to reclaim the past was a dead-end. Norway had move on and build new parties and new communities. But the resurrection of Gullpartiet has changed that. And basically Gullpartiet needs its old foe to spar with. I remember the glorious election battles - maybe one day soon we can see them again.